Chest Pain: How do I know when it's not just anxiety?

Hi everybody!

I have had generalized anxiety disorder for over ten years and I have experienced several panic attacks and strange physical manifestations of stress. Often, when driving, I have shortness of breathe and a tight feeling in my chest that nags me. I have had an EKG that showed that I have a strong heart and I have mentioned it to my doctors but I am still not satisfied. I really do feel like there is something wrong. It could also be my hypochondria kicking in. The sensations and shortness of breath come and go. I am 28 and pretty healthy otherwise. Anyone else experience this? It's gotten a lot worse since I returned to finish my degree. I have a script for clonopin that helps at night but I really wonder if there is something wrong with my heart. :/ Any advice?

i (and many others) have gone through similar things. Panic attacks, hyperventilating etc. Stress can do funny things but a heart attack at age 28 is very unlikely. In my opinion it is the mental awareness and heightened sensitivity to anxiety which makes you feel as though you have problems with your ticker. The fact you have had an ECG shows the problem is more psychological than physical. The latter can obviously affect the former, however not to the degree of a heart attack (atleast while being so young!). The shortness of breathe will tighten your chest, but not your heart. Have you been shown breathing exercises and relaxation techniques?

I have tried several relaxation techniques. Deep breathing helps instantly. I'm taking some stressful classes which may be getting to me more than I thought. I think you're right about being hyperaware. I do pay attention more than I used to. I also think about health issues more than the next person. I guess I just need to stop psyching myself out so bad! It feels good to know that other ppl fo through the same kind of stuff. Thanks again, Timmy :)

yep the deep breathing tends to slow and relax the muscles, and then the thoughts. I had similar things several years ago. I found the mental manifestation and 'overawareness' of the physical side of things just keeps you on edge so much. It starts to dominate your life sometimes, however it is easily treatable. Its all about relaxation, practice and just slowing things down as well as your thoughts.

I'm going to give relaxation techniques another shot. I feel better just thinking about it! Thank you. I'm going to have a nice long bout of meditation and breathing before bed and maybe before my drive to school tomorrow :)

Take it from a reformed Panic Attack sufferer, who is a hypochondriac as well. Here's the deal -
While your chest pains certainly are cause for concern, through my cognitive behavioral therapy, I have learned that it boils down to one simple question for me:

"Have I had this before, and how did I do back then?"

The problem I had is a heightened awareness of everything happening in my body. Equate it to a noisy refrigerator. There is always some kind of noise going on, but it still works fine. The problem with being hyper vigilant is that you NEVER get a break.

Take a student - they study for hours on end, then they need to take a break, or they are too tired. Same goes for someone at work. When you are hyper vigilant, you NEVER take a break, so you are exhasted, which further fuels the anxiety and symptoms. It's a viscious cycle.

Take all the times you have had the bad things happen to you (in your mind,) and look at them as proof that you "survived" despite your thoughts to the contrary. Each time you had an EKG, (and I have had over 12 in the last year. LOL) each time you visited the doctor, each time you suffered are actually proof that you are allowed to be okay.

Finally, I had to ask myself, what does being hyper vigilant give me? When I am constantly checking, or waiting for something bad to happen, what is that giving me?

The truth is, if something's wrong with your heart, (in the case of a medical emergency,) NO AMOUNT OF VIGILANCE is going to help you. There will be NO QUESTION as to what's wrong. At your age, it's rare. (You have a better chance of winning the lottery!) You would have to have something wrong already, like a bad heart defect, which has been ruled out by your doctors.

********
1.
{
  "formula": "Zn5Ag4Sn3Se13N6",
  "functional": "PBE",
  "state": "optimized geometry",
  "lattice": [[0.000, 9.549, 9.549], [9.549, 0.000, 9.549], [9.549, 9.549, 0.000]],
  "species": ["Zn", "Zn", "Zn", "Zn", "Zn", "Zn", "Zn", "Zn", "Zn", "Zn", "Ag", "Ag", "Ag", "Ag", "Ag", "Ag", "Ag", "Ag", "Sn", "Sn", "Sn", "Sn", "Sn", "Sn", "Se", "Se", "Se", "Se", "Se", "Se", "Se", "Se", "Se", "Se", "Se", "Se", "Se", "Se", "Se", "Se", "Se", "Se", "Se", "Se", "Se", "Se", "Se", "Se", "Se", "Se", "N", "N", "N", "N", "N", "N", "N", "N", "N", "N", "N", "N"],
  "frac_coords": [[0.000, 0.000, 0.000], [0.015, 0.328, 0.328], [0.328, 0.015, 0.328], [0.328, 0.328, 0.015], [0.328, 0.328, 0.328], [0.500, 0.500, 0.500], [0.515, 0.828, 0.828], [0.828, 0.515, 0.828], [0.828, 0.828, 0.515], [0.828, 0.828, 0.828], [0.044, 0.652, 0.652], [0.152, 0.152, 0.152], [0.152, 0.152, 0.544], [0.152, 0.544, 0.152], [0.544, 0.152, 0.152], [0.652, 0.044, 0.652], [0.652, 0.652, 0.044], [0.652, 0.652, 0.652], [0.000, 0.000, 0.500], [0.000, 0.500, 0.000], [0.000, 0.500, 0.500], [0.500, 0.000, 0.000], [0.500, 0.000, 0.500], [0.500, 0.500, 0.000], [0.038, 0.445, 0.823], [0.038, 0.694, 0.445], [0.038, 0.823, 0.694], [0.194, 0.323, 0.538], [0.194, 0.538, 0.945], [0.194, 0.945, 0.323], [0.250, 0.250, 0.250], [0.323, 0.194, 0.945], [0.323, 0.538, 0.194], [0.323, 0.945, 0.538], [0.445, 0.038, 0.694], [0.445, 0.694, 0.823], [0.445, 0.823, 0.038], [0.538, 0.194, 0.323], [0.538, 0.323, 0.945], [0.538, 0.945, 0.194], [0.694, 0.038, 0.823], [0.694, 0.445, 0.038], [0.694, 0.823, 0.445], [0.750, 0.750, 0.750], [0.823, 0.038, 0.445], [0.823, 0.445, 0.694], [0.823, 0.694, 0.038], [0.945, 0.194, 0.538], [0.945, 0.323, 0.194], [0.945, 0.538, 0.323], [0.115, 0.115, 0.885], [0.115, 0.885, 0.115], [0.115, 0.885, 0.885], [0.385, 0.385, 0.615], [0.385, 0.615, 0.385], [0.385, 0.615, 0.615], [0.615, 0.385, 0.385], [0.615, 0.385, 0.615], [0.615, 0.615, 0.385], [0.885, 0.115, 0.115], [0.885, 0.115, 0.885], [0.885, 0.885, 0.115]],
  "magmom_total_mub_per_atom": 0.488,
  "volume_a3_per_cell": 1741.2,
  "total_energy_ev_per_cell": -208.629,
  "spacegroup": "F-43c (219)",
  "mass_density_g_cm3": 4.244
}


2.
{
  "formula": "Pm2ZnHg",
  "functional": "PBE",
  "state": "optimized geometry",
  "lattice": [[0.000, 3.751, 3.751], [3.751, 0.000, 3.751], [3.751, 3.751, 0.000]],
  "species": ["Pm", "Pm", "Zn", "Hg"],
  "frac_coords": [[0.250, 0.250, 0.250], [0.750, 0.750, 0.750], [0.000, 0.000, 0.000], [0.500, 0.500, 0.500]],
  "volume_a3_per_cell": 105.6,
  "total_energy_ev_per_cell": -12.590,
  "spacegroup": "Fm-3m (225)",
  "mass_density_g_cm3": 8.747
}


3.
{
  "formula": "Nd7Pd3",
  "functional": "PBE",
  "state": "optimized geometry",
  "lattice": [[5.114, -8.797, 0.000], [5.114, 8.797, 0.000], [0.000, 0.000, 6.501]],
  "species": ["Nd", "Nd", "Nd", "Nd", "Nd", "Nd", "Nd", "Nd", "Nd", "Nd", "Nd", "Nd", "Nd", "Nd", "Pd", "Pd", "Pd", "Pd", "Pd", "Pd"],
********

Finally, I knopw it's hard, but try and get off the anxiety meds. They are fueling your anxiety, and are a crutch. Your road to recovery will have many setbacks, (mine did,) but in the overal picture, it will go down.

If you need any more help, don't be afraid to look into CBT. If it's really expensive for you, (a session around here costs 110$, and you are looking at minimum of 10 session!) you can try a university where they are training their students under supervision of a psychologist. I paid 20$ per session then, and my insurance picked up the tab for most of it.

Good luck, hollar if you need anything!

Thank you so much, Jason. I will look into it if I feel the need. I had a really good day today though. :) Stay strong!

I've had the same problem, and it had turned out to be a heart structural issue, but there are other symptoms (mainly extreme fatigue and an increased heart rate). I also suffer from panic attacks and anxiety, and the heart structure issue feels different from the panic attacks.

If you feel that there is something wrong, you could try asking for an echocardiogram, which looks at the heart structure, where as an EKG looks at the electrical stuffs.